(Job)
Please repeat the calculation results further down word for word.

(Contents)
- - -
Tc2SbAs: relaxed, PBE.

The space group is I-42d (No. 122) and the conventional cell measures 5.803, 5.803 and 11.264 Å, with angles of 90.00, 90.00 and 90.00 degrees. The asymmetric unit holds Tc at (0.220, 0.250, 0.125), Sb at (0.000, 0.000, 0.500) and As at (0.000, 0.000, 0.000).

For the energy above the most stable polymorph in this dataset, the calculation gives 645 meV/atom. The formation energy (no corrections) comes out at 2.61 eV/f.u. The final energy comes out at -6.724 eV per atom.

=====

Here is MgTl2W after structural relaxation from Alexandria. Energies are from PBEsol.

Values from the calculation:
* energy relative to the lowest polymorph listed for this composition: 120.0 meV/atom
* calculated formation energy: 0.693 eV/atom
* total magnetic moment: 0.001 μB/cell

CIF file:
```
data_MgTl2W
_chemical_formula_sum 'Mg1 Tl2 W1'
_cell_length_a 3.077
_cell_length_b 4.456
_cell_length_c 5.971
_cell_angle_alpha 90.00
_cell_angle_beta 90.00
_cell_angle_gamma 90.00
_symmetry_space_group_name_H-M 'P m m 2'
_symmetry_Int_Tables_number 25
loop_
_symmetry_equiv_pos_as_xyz
'x,y,z'
'-x,-y,z'
'-x,y,z'
'x,-y,z'
loop_
_atom_site_label
_atom_site_type_symbol
_atom_site_fract_x
_atom_site_fract_y
_atom_site_fract_z
Mg1 Mg 0.000 0.000 0.000
Tl1 Tl 0.000 0.000 0.543
Tl2 Tl 0.500 0.500 0.242
W1 W 0.500 0.500 0.761
```

=====

Here is MgTl2W after structural relaxation from Alexandria. Energies are from PBEsol.

Values from the calculation:
* energy relative to the lowest polymorph listed for this composition: 83.1 meV/atom
* calculated formation energy: 0.656 eV/atom
* total magnetic moment: 0.002 μB/cell

CIF file:
```
data_MgTl2W
_chemical_formula_sum 'Mg2 Tl4 W2'
_cell_length_a 4.019
_cell_length_b 4.113
_cell_length_c 9.534
_cell_angle_alpha 90.00
_cell_angle_beta 90.00
_cell_angle_gamma 90.00
_symmetry_space_group_name_H-M 'I m m 2'
_symmetry_Int_Tables_number 44
loop_
_symmetry_equiv_pos_as_xyz
'x,y,z'
'-x,-y,z'
'-x,y,z'
'x,-y,z'
'x+1/2,y+1/2,z+1/2'
'-x+1/2,-y+1/2,z+1/2'
'-x+1/2,y+1/2,z+1/2'
'x+1/2,-y+1/2,z+1/2'
loop_
_atom_site_label
_atom_site_type_symbol
_atom_site_fract_x
_atom_site_fract_y
_atom_site_fract_z
Mg1 Mg 0.000 0.000 0.000
Tl1 Tl 0.000 0.000 0.503
Tl2 Tl 0.000 0.500 0.751
W1 W 0.000 0.500 0.251
```

=====

Here is MgTl2W after structural relaxation from Alexandria. Energies are from PBEsol.

Values from the calculation:
* energy relative to the lowest polymorph listed for this composition: 148.2 meV/atom
* calculated formation energy: 0.721 eV/atom
* total magnetic moment: 0.002 μB/cell

CIF file:
```
data_MgTl2W
_chemical_formula_sum 'Mg2 Tl4 W2'
_cell_length_a 6.157
_cell_length_b 8.476
_cell_length_c 3.042
_cell_angle_alpha 90.00
_cell_angle_beta 90.00
_cell_angle_gamma 90.00
_symmetry_space_group_name_H-M 'C m m m'
_symmetry_Int_Tables_number 65
_symmetry_space_group_name_Hall '-C 2 2'
loop_
_atom_site_label
_atom_site_type_symbol
_atom_site_fract_x
_atom_site_fract_y
_atom_site_fract_z
Mg1 Mg 0.000 0.000 0.000
Tl1 Tl 0.250 0.250 0.500
W1 W 0.000 0.500 0.000
```
- - -

(Solution)
Tc2SbAs: relaxed, PBE.

The space group is I-42d (No. 122) and the conventional cell measures 5.803, 5.803 and 11.264 Å, with angles of 90.00, 90.00 and 90.00 degrees. The asymmetric unit holds Tc at (0.220, 0.250, 0.125), Sb at (0.000, 0.000, 0.500) and As at (0.000, 0.000, 0.000).

For the energy above the most stable polymorph in this dataset, the calculation gives 645 meV/atom. The formation energy (no corrections) comes out at 2.61 eV/f.u. The final energy comes out at -6.724 eV per atom.

=====

Here is MgTl2W after structural relaxation from Alexandria. Energies are from PBEsol.

Values from the calculation:
* energy relative to the lowest polymorph listed for this composition: 120.0 meV/atom
* calculated formation energy: 0.693 eV/atom
* total magnetic moment: 0.001 μB/cell

CIF file:
```
data_MgTl2W
_chemical_formula_sum 'Mg1 Tl2 W1'
_cell_length_a 3.077
_cell_length_b 4.456
_cell_length_c 5.971
_cell_angle_alpha 90.00
_cell_angle_beta 90.00
_cell_angle_gamma 90.00
_symmetry_space_group_name_H-M 'P m m 2'
_symmetry_Int_Tables_number 25
loop_
_symmetry_equiv_pos_as_xyz
'x,y,z'
'-x,-y,z'
'-x,y,z'
'x,-y,z'
loop_
_atom_site_label
_atom_site_type_symbol
_atom_site_fract_x
_atom_site_fract_y
_atom_site_fract_z
Mg1 Mg 0.000 0.000 0.000
Tl1 Tl 0.000 0.000 0.543
Tl2 Tl 0.500 0.500 0.242
W1 W 0.500 0.500 0.761
```

=====

Here is MgTl2W after structural relaxation from Alexandria. Energies are from PBEsol.

Values from the calculation:
* energy relative to the lowest polymorph listed for this composition: 83.1 meV/atom
* calculated formation energy: 0.656 eV/atom
* total magnetic moment: 0.002 μB/cell

CIF file:
```
data_MgTl2W
_chemical_formula_sum 'Mg2 Tl4 W2'
_cell_length_a 4.019
_cell_length_b 4.113
_cell_length_c 9.534
_cell_angle_alpha 90.00
_cell_angle_beta 90.00
_cell_angle_gamma 90.00
_symmetry_space_group_name_H-M 'I m m 2'
_symmetry_Int_Tables_number 44
loop_
_symmetry_equiv_pos_as_xyz
'x,y,z'
'-x,-y,z'
'-x,y,z'
'x,-y,z'
'x+1/2,y+1/2,z+1/2'
'-x+1/2,-y+1/2,z+1/2'
'-x+1/2,y+1/2,z+1/2'
'x+1/2,-y+1/2,z+1/2'
loop_
_atom_site_label
_atom_site_type_symbol
_atom_site_fract_x
_atom_site_fract_y
_atom_site_fract_z
Mg1 Mg 0.000 0.000 0.000
Tl1 Tl 0.000 0.000 0.503
Tl2 Tl 0.000 0.500 0.751
W1 W 0.000 0.500 0.251
```

=====

Here is MgTl2W after structural relaxation from Alexandria. Energies are from PBEsol.

Values from the calculation:
* energy relative to the lowest polymorph listed for this composition: 148.2 meV/atom
* calculated formation energy: 0.721 eV/atom
* total magnetic moment: 0.002 μB/cell

CIF file:
```
data_MgTl2W
_chemical_formula_sum 'Mg2 Tl4 W2'
_cell_length_a 6.157
_cell_length_b 8.476
_cell_length_c 3.042
_cell_angle_alpha 90.00
_cell_angle_beta 90.00
_cell_angle_gamma 90.00
_symmetry_space_group_name_H-M 'C m m m'
_symmetry_Int_Tables_number 65
_symmetry_space_group_name_Hall '-C 2 2'
loop_
_atom_site_label
_atom_site_type_symbol
_atom_site_fract_x
_atom_site_fract_y
_atom_site_fract_z
Mg1 Mg 0.000 0.000 0.000
Tl1 Tl 0.250 0.250 0.500
W1 W 0.000 0.500 0.000
```